Second of all, let me say that I think some of you have sent me things that I have not received. The Dominican mail system is slow and somewhat unreliable, so it’s possible that these things will reach me eventually, but for the record: if I have not specifically thanked you for a letter or package, I have not received it yet.
Here are a few more tips I’ve gleaned about handling the Dominican mail system:
- Things in large manila envelopes tend to have better luck than smaller cards. Even if you’re sending a small card, please consider sticking it in a manila envelope. The postage cost will go up a little bit, but it seems like it will be much more likely to reach me.
- Make sure you have the address right:
Renata S., PCV (Use my whole last name, I just don’t want to put it on my blog)
451 Avenida Bolivar
Apartado Postal 1412
Santo Domingo
Dominican Republic - If you are sending a package (thanks!!), try for a padded envelope rather than a box. Also, on the customs form say that you are sending me “religious materials.”
- For letters or packages, it seems to help if you make it look like you actually are sending me some sort of religious materials. Try drawing crosses or writing “Que vaya con Dios,” something like that.
- This should be obvious, but—don’t send me money! It’ll get stolen.
Also, here my top 5 most-desired things in care packages (just in time for Christmas ;)):
1. Soy nuts! Delicious, crunchy sources of protein and fiber; completely unavailable in the DR.
2. Dried fruit/trail mix. Again—not available here. Nuts you can get (although they are very expensive), but not dried fruit.
3. Non-perishable, vegetarian box dinners—things like Annie’s pasta, Tasty Bite Indian dinners, and Thai Kitchen boxes (check the labels on those please, not all the Thai Kitchen stuff is vegetarian but a lot of it is). Nothing microwaveable though, it has to have a stovetop cooking option.
4. Chocolate, particularly individually-wrapped items (fun size candy bars, etc—they hold up better to this climate) and particularly peanut butter/chocolate combinations or dark chocolate items. But whatever, really, beggars (and Peace Corps volunteers) can’t be choosy!
5. Magazines. I’m partial to celebrity gossip and commie pinko political magazines, but really anything in English is great.
BUT SERIOUSLY I’m super excited to receive anything in the mail, and I promise to return the favor with postcards of my beautiful, impoverished republic.
Also, for those of you looking to support my community with school supplies or whatever—honestly, right now it is best if you don’t send me things to distribute here. Peace Corps tries very hard to get our sites to view us as human resources, not as sources of handouts. So instead, support the volunteer who is trying to teach them English! Also, I usually do share my candy with my classes. (Alternate suggestion: donate some money to Oxfam, they are my favorite charity and they do great things where they are most needed.) Also, later on in my project it’s possible I will write up a Peace Corps Partnership Program (PCPP) grant, which is basically where I beg for money from friends, family, and local (meaning Illinois, not the DR) organizations to support a project and you guys give it to Peace Corps and then they give it to me. Rest assured I will let you all know if I start something that needs PCPP support and will happily accept your donations then :) (Check out the PC donors page if you are interested in this project.)
The page is interrupted by records of crystals:
30
Lattice="5.181 -6.033 0.000 5.181 6.033 0.000 0.000 0.000 10.143" Properties=species:S:1:pos:R:3 comment="PBE SiO2, relaxed" crystal_system=orthorhombic formation_enthalpy_0k_mev_per_atom=-3234 total_energy_ev_per_atom=-7.88 pbc="T T T"
Si 0.000 0.000 2.536
Si 0.000 0.000 7.607
Si 4.083 3.437 1.531
Si 4.083 3.437 8.612
Si 6.279 3.437 3.541
Si 6.279 3.437 6.602
Si 4.083 -3.437 3.541
Si 4.083 -3.437 6.602
Si 6.279 -3.437 1.531
Si 6.279 -3.437 8.612
O 2.590 3.016 2.014
O 2.590 3.016 8.129
O 0.936 0.967 1.608
O 0.936 0.967 8.535
O 0.936 -0.967 3.463
O 0.936 -0.967 6.680
O 4.334 2.931 0.000
O 5.181 2.757 2.536
O 5.181 2.757 7.607
O 6.028 2.931 5.071
O 2.590 -3.016 3.058
O 2.590 -3.016 7.085
O 4.334 -2.931 5.071
O 5.181 -2.757 2.536
O 5.181 -2.757 7.607
O 6.028 -2.931 0.000
O 9.426 0.967 3.463
O 9.426 0.967 6.680
O 9.426 -0.967 1.608
O 9.426 -0.967 8.535


40
Lattice="24.276 0.000 0.000 0.000 4.187 0.000 0.000 0.000 7.004" Properties=species:S:1:pos:R:3 comment="PBE Ce3Al4Co3, relaxed" crystal_system=orthorhombic formation_enthalpy_0k_mev_per_atom=-521 total_energy_ev_per_atom=-5.93 pbc="T T T"
Ce 0.920 1.047 1.045
Ce 3.227 1.047 3.690
Ce 4.176 1.047 0.228
Ce 7.962 3.141 3.730
Ce 8.911 3.141 0.188
Ce 11.218 3.141 4.547
Ce 13.059 1.047 2.457
Ce 15.366 1.047 6.816
Ce 16.314 1.047 3.274
Ce 20.100 3.141 6.776
Ce 21.049 3.141 3.314
Ce 23.356 3.141 5.959
Al 0.906 3.141 3.418
Al 2.227 3.141 5.976
Al 5.178 3.141 2.314
Al 5.217 3.141 5.108
Al 6.922 1.047 1.606
Al 6.960 1.047 5.816
Al 9.911 1.047 2.474
Al 11.232 1.047 6.920
Al 13.044 3.141 0.084
Al 14.365 3.141 4.530
Al 17.316 3.141 1.188
Al 17.355 3.141 5.398
Al 19.060 1.047 1.896
Al 19.098 1.047 4.690
Al 22.049 1.047 1.028
Al 23.370 1.047 3.586
Co 1.273 1.047 4.933
Co 2.674 3.141 1.562
Co 5.566 1.047 3.715
Co 6.572 3.141 0.213
Co 9.464 1.047 5.064
Co 10.865 3.141 1.431
Co 13.411 1.047 5.573
Co 14.812 3.141 1.940
Co 17.704 1.047 6.791
Co 18.710 3.141 3.289
Co 21.602 1.047 5.442
Co 23.003 3.141 2.071


102
Lattice="9.203 0.000 0.000 4.600 7.979 0.000 0.126 0.133 23.688" Properties=species:S:1:pos:R:3 comment="PBE Y3TaSiS5O24, relaxed" crystal_system=triclinic formation_enthalpy_0k_mev_per_atom=-2670 total_energy_ev_per_atom=-7.37 pbc="T T T"
Y 0.000 0.000 0.000
Y 0.113 0.117 18.596
Y 0.114 0.134 11.862
Y 4.551 2.751 10.715
Y 4.612 2.728 15.705
Y 4.745 2.797 22.710
Y 4.683 2.706 4.009
Y 9.207 5.393 7.865
Y 9.321 5.434 19.750
Ta 13.814 7.982 6.745
Ta 9.211 5.419 3.080
Ta 9.315 5.358 14.695
Si 2.004 2.763 13.279
Si 6.578 5.420 5.428
Si 10.618 7.625 5.417
S 1.476 2.417 21.153
S 3.404 5.801 9.255
S 3.155 4.986 1.455
S 2.640 0.071 9.255
S 6.040 5.790 21.155
S 3.331 0.243 1.465
S 6.129 5.053 13.318
S 8.012 7.647 17.166
S 5.978 0.322 13.322
S 7.375 2.770 1.459
S 8.018 3.187 17.153
S 6.665 0.139 21.154
S 7.952 2.272 9.254
S 11.882 5.441 17.152
S 10.472 3.019 5.370
O 0.952 1.576 13.094
O 3.712 6.338 1.217
O 3.976 6.561 8.049
O 1.204 1.584 19.948
O 3.384 4.151 0.238
O 2.675 2.796 5.068
O 3.551 4.285 16.969
Anyway, thanks, guys! You are rad, and sorry if the Dominican mail system lost something you sent me.